********
This entry pairs a crystal structure of ScPtBr3 with its simulated powder diffraction line list. Radiation: a wavelength of 1.5418 Å. Structure: a DFT-relaxed cell (PBE, Alexandria).

Peak list (8 most intense, 10 to 90 degrees two-theta, in order of rising 2θ)
(1 1 0), 2θ = 24.1°, I = 38
(1 1 1), 2θ = 29.6°, I = 100
(2 0 0), 2θ = 34.3°, I = 77
(2 2 0), 2θ = 49.3°, I = 54
(3 1 1), 2θ = 58.6°, I = 44
(2 2 2), 2θ = 61.4°, I = 18
(3 3 1), 2θ = 80.0°, I = 18
(4 2 0), 2θ = 82.5°, I = 24

Structure:
abc: 5.2273 5.2273 5.2273
angles: 90.00 90.00 90.00
Sites, in units of the cell vectors:
Sc  0.0000  0.0000  0.0000
Pt  0.5000  0.5000  0.5000
Br  0.0000  0.0000  0.5000
Br  0.0000  0.5000  0.0000
Br  0.5000  0.0000  0.0000
********
Find "24.1°," and "34.3°," in the material earlier on, and give back these two lines and those between, please.
(1 1 0), 2θ = 24.1°, I = 38
(1 1 1), 2θ = 29.6°, I = 100
(2 0 0), 2θ = 34.3°, I = 77